2.9 Relationship Between Different Biogas Microbes
There exist multiple kinds of species and a spectrum of complex microbes in biogas fermentation. Methane production is the result of such mutual actions and restrictions between various microbes of this microorganism's spectrum.
The mutual actions of biogas fermenting microbes include the actions between non-methane-producing bacteria and methane-producing bacteria, as well as the actions between non-methane-producing bacteria, among which the former is of the most importance.
In a biogas fermentation system, non-methane-producing bacteria and methane-producing bacteria depend upon each other and serve material basis, optimum conditions for the needs of their life span, but at the same time they also restrict each other.
[Next to the article, the page also holds quantum chemistry results]
........
The molecule C28H55BO4. Source: the OMol25 dataset; level of theory: wB97M-V/def2-TZVPD.

SMILES: CCCCCCCCC[C@H]1OC[C@@H](CCCC)[C@]1(CCCCCCCCOC(C)=O)B(C)O
LUMO level in hartree: 0.017
HOMO-LUMO gap in eV: 9.6992
Electronic energy in eV: -38788.848
F_max in eV/A: 4.88

Element x y z (Å)
C 9.2876 3.8691 0.1253
C 8.1746 3.1724 1.0926
C 6.8679 2.9431 0.1908
C 7.0204 1.6097 -0.7210
C 5.6569 1.4911 -1.5821
C 4.7142 0.3850 -0.8802
C 3.5227 1.0647 -0.0115
C 3.5715 0.6956 1.5500
C 2.1260 0.2627 2.1562
C 1.5177 -1.0156 1.4240
O 1.6423 -2.3257 2.0393
C 0.8301 -3.2076 1.1917
C 0.0271 -2.3320 0.0597
C -1.3293 -3.0936 -0.3393
C -1.4642 -3.1834 -1.9532
C -0.9092 -4.5869 -2.5451
C 0.6817 -4.7731 -2.2548
C -0.0309 -0.9601 0.9006
C -0.8645 -0.9006 2.2698
C -2.4567 -0.7616 2.0957
C -3.0719 0.6180 2.6920
C -3.6644 1.4987 1.4737
C -5.2378 1.2853 1.2177
C -5.9323 2.6004 0.5687
C -7.4117 2.2420 -0.0130
C -7.2853 1.4917 -1.4290
O -8.2306 0.3774 -1.5749
C -7.5306 -0.8280 -1.1920
C -6.4761 -1.5340 -2.1849
O -7.7738 -1.2494 -0.0326
B -0.3634 0.3733 -0.0119
C -0.7423 0.2660 -1.6119
O -0.3849 1.7193 0.5299
H 9.9535 4.5742 0.7218
H 9.8936 3.0930 -0.4481
H 8.7440 4.5006 -0.6753
H 8.5151 2.1513 1.4783
H 7.9288 3.9057 1.9326
H 6.6628 3.8012 -0.5478
H 5.8989 2.7966 0.7896
H 7.9384 1.6447 -1.4087
H 7.1881 0.7480 0.0065
H 5.8411 1.2940 -2.6994
H 5.1533 2.5305 -1.5393
H 5.3517 -0.3444 -0.2751
H 4.2352 -0.2424 -1.7232
H 2.5313 0.7536 -0.4920
H 3.5854 2.2130 -0.1036
H 4.0662 1.5253 2.1811
H 4.2752 -0.2167 1.6532
H 2.3595 -0.0685 3.2410
H 1.4136 1.1464 2.2525
H 2.0617 -1.1874 0.4134
H 1.4664 -4.0728 0.8122
H -0.0638 -3.6218 1.7969
H 0.7056 -2.3684 -0.8717
H -2.2679 -2.7110 0.1770
H -1.2001 -4.1899 0.0099
H -2.5349 -2.9499 -2.3087
H -0.8055 -2.3738 -2.4447
H -1.4691 -5.4194 -2.0044
H -1.0249 -4.6627 -3.6827
H 1.2691 -3.8083 -2.4030
H 1.0559 -5.5599 -2.9906
H 0.8263 -5.1057 -1.1716
H -0.5116 0.0284 2.8592
H -0.6841 -1.7928 2.9704
H -2.9565 -1.6046 2.7047
H -2.8372 -0.8446 1.0251
H -2.2760 1.1843 3.2798
H -3.9689 0.4208 3.3927
H -3.4629 2.6009 1.7162
H -3.1422 1.2724 0.4683
H -5.3299 0.4663 0.4087
H -5.7633 1.0121 2.1905
H -6.0124 3.4164 1.3659
H -5.3433 3.0101 -0.3284
H -7.9613 1.6425 0.7846
H -7.9512 3.2421 -0.2156
H -6.2000 1.1273 -1.5249
H -7.4244 2.2857 -2.2511
H -6.9097 -1.6868 -3.2358
H -6.1399 -2.5092 -1.6988
H -5.6149 -0.7819 -2.3024
H -1.1020 1.2939 -1.9666
H 0.1310 -0.0878 -2.2530
H -1.6586 -0.4331 -1.6614
H -0.9157 1.7485 1.3559

Atomic forces in eV per Å
C -0.61 -0.05 0.07
C -0.45 0.82 -1.43
C 0.13 -0.94 -0.56
C -0.23 1.03 -0.06
C 0.37 -0.14 0.68
C -0.65 0.38 -1.10
C 0.35 0.29 0.08
C -0.13 -0.89 -0.21
C 1.18 -0.91 1.44
C -0.06 0.49 -2.94
O -1.02 0.42 -0.72
C -1.49 -0.21 0.21
C 0.41 -1.34 1.57
C 0.72 -0.97 -0.69
C 0.37 0.22 -0.61
C 0.58 0.63 0.61
C -0.93 -0.10 0.04
C 1.09 0.57 0.39
C -0.90 -0.08 0.10
C -0.87 -0.03 1.29
C -0.55 -0.29 -1.08
C -0.10 0.59 0.16
C 0.50 0.72 -1.10
C -0.57 -0.62 -0.13
C 0.70 0.76 0.10
C 0.78 1.05 0.56
O 2.52 -0.94 -0.16
C -1.13 -0.79 3.41
........
[The article goes on]
This mode of relationship between them exhibits mainly the following features.
①Non-methane-producing bacteria provide substances required for the growth of methane-producing bacteria whilst the latter one gets rid of the feedback inhibition from the former.
Non-methane-bacteria make use of various complex organic materials to perform anaerobic fermentation, forming H2,CO2,NH3,CH3COOH, HCOOH, CH3-CH2COOH, CH3CH2CH2COOH, CH3OH, C2H5OH and so forth. CH3CH2COOH, CH3CH2CH2COOH, C2H5OH can be converted into H2, CO2, CH3COOH respectiuely by hydrogen-producing acetogenic bacteria microbes. Thus, non-methane-bacteria through their life processes provide materials and energy for continuous synthesis of cellular components,and precursors and energy needed by methanobacteria.On the other hand, the products yielded by non-methane-bacteria can inhibit the process of fermentation: the accumulation of acids inhibits acid-producing bacteria to yield acid subsequently and accumulation of hydrogen inhibits hydrogen production, as the products—acids, H2, and CO2are successively used by methanobacteria, the products enables non-methanobacteria to grow and metabolize normally. Owing to these mutual actions between them, a balance of acidproducing and CH4-forming mechanism is established in the process, which makes it proceeding normally.
Records of molecules that have nothing to do with the entry.
┌──
1.
{"formula": "C6H11NO", "method": "wB97M-V/def2-TZVPD", "symbols": ["O", "N", "C", "C", "C", "C", "C", "C", "H", "H", "H", "H", "H", "H", "H", "H", "H", "H", "H"], "positions_angstrom": [[0.48, 1.13, -1.13], [0.05, -1.32, -1.38], [0.33, -0.67, -0.11], [-0.31, -1.13, 1.16], [-0.43, 0.05, -1.21], [1.69, 1.22, 1.05], [1.36, 0.38, -0.17], [-1.89, 0.36, -1.19], [0.38, -1.79, 1.70], [0.80, 1.59, 1.56], [2.29, 2.09, 0.76], [-0.55, -0.29, 1.82], [-2.23, 0.65, -0.20], [-2.49, -0.50, -1.53], [-2.10, 1.18, -1.88], [2.27, 0.07, -0.70], [2.29, 0.64, 1.76], [-1.23, -1.68, 0.98], [-0.72, -1.98, -1.30]], "charge": 0, "homo_energy_ev": -7.89, "orbital_gap_ha": 0.3246, "smiles": "C[C@@H]1O[C@@]2(C)N[C@@]12C"}

---

2.
{"formula": "C2H7NO2", "method": "wB97M-V/def2-TZVPD", "symbols": ["O", "O", "N", "C", "C", "H", "H", "H", "H", "H", "H", "H"], "positions_angstrom": [[2.97, 0.35, -2.72], [-0.92, -0.15, 2.18], [1.06, 0.48, -1.44], [-1.82, -1.21, 1.69], [2.46, 0.85, -1.75], [-1.32, -1.98, 1.06], [2.64, 1.90, -1.61], [-1.25, 0.70, 1.83], [-2.55, -0.70, 1.10], [0.69, 1.11, -0.73], [0.42, 0.19, -2.20], [-2.38, -1.53, 2.58]], "charge": 0, "homo_energy_ev": -10.02, "orbital_gap_ha": 0.3865, "smiles": "NC=O.CO"}

---

3.
{"formula": "C5H9PS3", "method": "wB97M-V/def2-TZVPD", "symbols": ["S", "S", "S", "P", "C", "C", "C", "C", "C", "H", "H", "H", "H", "H", "H", "H", "H", "H"], "positions_angstrom": [[2.10, 2.35, 1.37], [0.97, -0.53, 0.14], [1.19, 2.04, -1.73], [0.49, 1.54, 0.22], [2.23, -0.44, -1.18], [-2.88, -1.13, 2.22], [-2.35, -0.66, -0.32], [1.68, 0.38, -2.32], [-2.59, -0.88, 0.83], [2.42, -1.47, -1.48], [3.14, 0.00, -0.77], [-3.39, -2.09, 2.33], [-2.13, -0.50, -1.33], [-3.52, -0.34, 2.62], [2.43, 0.55, -3.09], [-1.95, -1.17, 2.78], [1.35, 2.43, 2.47], [0.80, -0.10, -2.76]], "spin_multiplicity": 3, "charge": 0, "homo_energy_ev": [-4.37, -8.78], "orbital_gap_ha": [0.1804, 0.2151]}

---

4.
└──
②In early stages of biogas fermentation, some air can get into the biogas digester and accompanies the feeding of materials and water, which is certainly harmful to methane-producing bacteria. The oxygen removal must rely on the active degradation of non-methane-producing bacteria, such as aerobes or facultative anaerobes. The various anaerobic microorganisms can cause a continuous fall of the oxidation-reduction potentials in the media of fermentation,and provide an anaerobic condition for the growth of methanogen by their sequential adaptability, alternative growth, and metabolic activity.
③Toxic substances released by non-methane-producing bacteria for methane-producing bacteria.
Using waste water and wastes from industry as resources for fermentation, there usually exist toxic substances harmful to methane-producing bacteria, such as phenols, benzene, cyanides, long-chain fatty acids and heavy metals. Fortunately, those toxic substances can be released and utilized by many of non-methaneproducing bacteria, which favourites the process of fermentation. In addition, the toxic effects of heavy metals can be abolished by forming precipitates of metalsulfuric compounds (heavy metal ions +H2S released by non-methane-producing bacteria), thereby some toxic effects of heavy metals are avoided.
④Optimum pH is maintained by their mutual actions.
-- begin --
Molecular formula: C5H6N4
Method: DFT, wB97M-V/def2-TZVPD

```
! wB97M-V def2-TZVPD RIJCOSX def2/J DEFGRID3
* xyz 0 1
C -1.01 0.88 0.75
H -0.93 -2.46 1.25
C -0.55 -1.66 0.73
C 0.90 -2.81 -0.52
H -0.34 1.93 -2.27
N 1.49 -3.67 -1.02
N 0.47 -1.69 -0.07
N -1.01 1.26 -0.57
N 1.27 1.79 -0.80
C -1.06 -0.37 1.27
H -1.36 -0.49 2.28
H 1.48 1.86 0.16
H 2.06 2.01 -1.38
C 0.02 1.69 -1.21
H -1.42 1.73 1.40
*
```

Values from the calculation:
- Structure (SMILES): N#C/N=C/C=C\N=C/N
- Molar mass: 122.13 g/mol
- DFT total energy: -11240.0748 eV
- Strongest force on any atom: 4.38 eV/Å
- E_HOMO: -8.937 eV

These are the natural (NBO) partial charges, in e, on atoms 1 to 8: C 0.059; H 0.172; C 0.199; C 0.385; H 0.197; N -0.377; N -0.494; N -0.506

Molecular formula: H28O14
Method: DFT, wB97M-V/def2-TZVPD

```
! wB97M-V def2-TZVPD RIJCOSX def2/J DEFGRID3
* xyz 0 1
H -2.62 -0.11 1.18
H 3.22 1.16 0.43
H 1.67 1.53 0.19
O -2.92 0.70 1.72
O 4.44 -0.95 -1.18
H -0.13 -3.85 -1.57
O -2.61 -0.68 -1.26
H -2.64 -1.27 -2.07
H -0.79 -0.53 0.36
O 0.84 0.46 -2.62
O -3.33 -3.00 0.20
H -5.13 0.76 0.34
H 1.60 3.72 -1.32
O 2.47 0.99 -0.14
H -0.29 2.19 1.33
H 0.67 -2.63 -1.47
H -5.17 -0.30 -0.74
O 1.87 -0.82 2.35
H -2.69 -3.65 0.40
H -2.15 2.30 -0.18
H 2.36 -0.32 3.04
O 3.09 -2.64 1.02
H 2.86 -2.32 1.97
H -2.76 0.22 -1.58
H 2.81 4.60 -1.09
O -1.43 2.78 -0.62
O -4.85 0.58 -0.50
H 0.81 1.23 -2.10
H -2.73 -2.27 -0.11
H -0.65 2.22 -0.51
H -3.27 0.26 2.49
O 0.56 -3.49 -1.05
H 3.98 -2.34 0.97
O -0.32 0.02 -0.27
O 0.33 2.23 2.08
H 3.66 -1.15 -0.80
H 1.58 0.04 -2.17
H -0.04 2.88 2.68
H -1.02 0.48 -0.85
O 2.32 3.86 -0.70
H 1.37 -1.51 2.74
H 5.05 -1.39 -0.59
*
```

Values from the calculation:
- Molar mass: 252.21 g/mol
- DFT total energy: -29117.4643 eV
- Strongest force on any atom: 5.06 eV/Å
- E_HOMO: -10.431 eV

These are the natural (NBO) partial charges, in e, on atoms 1 to 8: H 0.473; H 0.478; H 0.487; O -0.949; O -0.919; H 0.453; O -0.984; H 0.497

Molecular formula: C4H7NO
Method: DFT, wB97M-V/def2-TZVPD

```
! wB97M-V def2-TZVPD RIJCOSX def2/J DEFGRID3
* xyz 0 1
C 0.04 0.80 1.34
C -0.64 -1.52 -0.60
C 0.69 -1.19 -0.69
O -0.34 1.97 -0.67
C 0.09 0.80 -0.16
H -0.95 -2.49 -0.20
H -0.07 2.00 -1.60
N 0.94 0.10 -0.93
H -0.99 0.71 1.68
H 0.44 1.75 1.71
H 1.51 -1.84 -0.38
H 0.63 -0.01 1.77
H -1.34 -1.08 -1.29
*
```

Values from the calculation:
- Structure (SMILES): C=C/N=C(\C)O
- Molar mass: 85.11 g/mol
- DFT total energy: -7796.9936 eV
- Strongest force on any atom: 3.55 eV/Å
- E_HOMO: -8.446 eV

These are the natural (NBO) partial charges, in e, on atoms 1 to 8: C -0.694; C -0.523; C 0.023; O -0.669; C 0.628; H 0.196; H 0.498; N -0.568

Molecular formula: C42H52N3O3SeV
Method: DFT, wB97M-V/def2-TZVPD

```
! wB97M-V def2-TZVPD RIJCOSX def2/J DEFGRID3
* xyz 2 1
C -0.46 3.83 4.70
O 1.32 1.45 -0.60
H 2.63 1.15 -5.48
H 3.53 -0.06 -3.51
C -3.16 -0.45 -4.68
H -5.43 0.67 -3.75
C -1.11 -0.73 1.24
H -2.62 3.08 7.19
H -4.27 1.99 -5.44
C 4.06 2.74 0.39
H -2.31 -0.43 -5.36
H -3.82 -3.38 3.58
-- stop --
**The records of molecules stop here:**
In the early stage of biogas fermentation, starch and sugar are first degraded by non-methane-producing bacteria and large amount of organic acids are produced. At the same time CO2yielded is dissolved in water, which cause a drop of pH of the fermenting media. Ammoniation, however, occurs in the system forming NH3, which neutralizes part of the acids, and furthermore because of CH3COOH, H2and CO2being successively used by methane-producing bacteria and formed NH3, pH is stabilized in a favourable range. Thus, in a normal setting-up biogas digester from the beginning to the end, the pH required is regulated automatically instead of artificially adjusted.